. Doyle studied at that university before. Like Holmes, Bell helped the police to solve cases (侦破 ……
侦破一桩画廊失窃案。A painting in a gallery was gone. The detective (侦探) was thinking about the case in the gallery.The break-in (闯入) must have happened between midnight and 1 am. We have found out ……
好在办公室里光着脚。)3. crack:侦破例句:Police officer Yao, played by Hong Kong actor Simon Yam (Ren Dahua), is appointed... the assasination case. P8 (姚警官(由香港演员任达华扮演)被派往协助张警督(由香港演员方中信扮演)侦破一起暗杀案件。)4. frown:表示不悦(或不赞同)例句 ……
Wong find and solve murders (侦破谋杀案). I can get scared sometimes when I read books. But I feel better... and solve murders (侦破谋杀案). I can get scared sometimes when I read books. But I feel better knowing ……
看我们如何侦破笔记本电脑丢失案。 WHENI walked toward my Forensic Science class, our teacher, Mr Keller, a humorous and easy-going man, was kneeling down (跪下) by the doorway and staring at the floor. “Everyone, don ……
Teens代言人Timo喜欢观察和思考。它帮周围的人解决了许多难题,是众人称赞的“小侦探”。一起来猜猜Timo是怎么破解谜团的吧!神秘日历是侦破案件的关键线索。RAY Whitcombe was found dead in his office at his desk. The police narrowed the suspects (嫌疑人) down to three people ……
1. capitalize (on):利用,从中获利例句:Sports-related companies are already capitalizing on that boom. P6 (与体育有关的公司已经在利用体育的繁荣,从中获利。)2. crack:侦破例句:He's the best at cracking any case in record time. P8 (他最擅长在最短时间里侦破 ……
大名鼎鼎的侦探内特悄悄地潜伏,试图揪出谁在半夜里偷走了垃圾筒里的食物。ATE the Great is a childdetective(侦探). The best one there is. In this story, Nate the Greatsolves(侦破) his first ever case at night.Nate the Great's neighbour ……
Next to the piece, the page also holds data records:
<i>
Entry from Materials Project: crystalline Ba2MgFeWO6 at its relaxed geometry (PBE with a Hubbard U).

Cell and atoms, written as POSCAR:
```
Ba2MgFeWO6
1.0
-1.481 -2.654 -5.838
5.658 3.019 1.453
0.778 -3.775 4.683
Ba Mg Fe W O
2 1 1 1 6
Direct
0.453 0.769 0.231
0.596 0.206 0.793
0.169 0.411 0.588
0.843 0.579 0.421
0.019 0.988 0.012
0.560 0.752 0.779
0.042 0.746 0.255
0.007 0.223 0.775
0.490 0.215 0.249
0.030 0.222 0.248
0.024 0.750 0.784
```

<ii>
Entry from Materials Project: crystalline Ba2MgFeWO6 at its relaxed geometry (PBE with a Hubbard U).

Cell and atoms, written as POSCAR:
```
Ba2MgFeWO6
1.0
-5.552 -2.499 3.233
4.123 -4.088 -2.228
5.165 3.486 2.891
Ba Mg Fe W O
2 1 1 1 6
Direct
0.366 0.684 0.317
0.543 0.267 0.725
0.807 0.901 0.096
0.015 0.505 0.491
0.147 0.076 0.926
0.459 0.730 0.743
0.986 0.729 0.272
0.974 0.244 0.756
0.483 0.241 0.268
0.986 0.254 0.269
0.973 0.734 0.761
```

<iii>
Entry from Materials Project: crystalline Ba2MgFeWO6 at its relaxed geometry (PBE with a Hubbard U).

Cell and atoms, written as POSCAR:
```
Ba2MgFeWO6
1.0
-1.952 -5.018 -4.124
-0.431 0.341 6.717
-2.928 5.970 1.330
Ba Mg Fe W O
2 1 1 1 6
Direct
0.500 0.815 0.315
0.501 0.186 0.686
0.500 0.500 0.000
0.000 0.499 0.500
0.000 0.000 0.000
0.488 0.734 0.748
0.986 0.734 0.247
0.013 0.266 0.753
0.512 0.266 0.252
0.999 0.190 0.192
0.003 0.811 0.808
```

Computed relative energies in units of eV/atom: <i> 0.000; <ii> 0.207; <iii> 0.053

<i>
Entry from Materials Project: crystalline BaNb4Fe2O14 at its relaxed geometry (PBE with a Hubbard U).

Cell and atoms, written as POSCAR:
```
BaNb4Fe2O14
1.0
-6.925 -2.111 3.878
2.093 -7.941 -0.108
4.190 -0.436 10.117
Ba Nb Fe O
2 8 4 28
Direct
0.500 0.000 0.500
0.000 0.500 0.000
0.127 0.753 0.555
0.247 0.873 0.945
0.873 0.247 0.445
0.753 0.127 0.055
0.755 0.669 0.710
0.331 0.245 0.790
0.245 0.331 0.290
0.669 0.755 0.210
0.951 0.049 0.750
0.049 0.951 0.250
0.500 0.500 0.500
0.500 0.500 0.000
0.144 0.953 0.618
0.047 0.856 0.882
0.856 0.047 0.382
0.953 0.144 0.118
0.326 0.650 0.568
0.350 0.674 0.932
0.674 0.350 0.432
0.650 0.326 0.068
0.104 0.791 0.389
0.209 0.896 0.111
0.896 0.209 0.611
0.791 0.104 0.889
0.977 0.600 0.662
0.400 0.023 0.838
0.023 0.400 0.338
0.600 0.977 0.162
0.777 0.895 0.709
0.105 0.223 0.791
0.223 0.105 0.291
0.895 0.777 0.209
0.637 0.643 0.583
0.357 0.363 0.917
0.363 0.357 0.417
0.643 0.637 0.083
0.684 0.544 0.860
0.456 0.316 0.640
0.316 0.456 0.140
0.544 0.684 0.360
```

<ii>
Entry from Materials Project: crystalline BaNb4Fe2O14 at its relaxed geometry (PBE with a Hubbard U).

Cell and atoms, written as POSCAR:
```
BaNb4Fe2O14
1.0
6.929 -0.529 5.402
5.932 0.293 -8.185
-1.905 8.602 -2.319
Ba Nb Fe O
2 8 4 28
Direct
0.000 0.000 0.000
0.500 0.500 0.000
0.604 0.101 0.645
0.104 0.601 0.645
0.396 0.899 0.355
0.896 0.399 0.355
0.683 0.851 0.199
0.183 0.351 0.199
0.317 0.149 0.801
0.817 0.649 0.801
0.029 0.669 0.217
0.971 0.331 0.783
0.529 0.169 0.217
0.471 0.831 0.783
0.600 0.073 0.441
0.100 0.573 0.441
The piece goes on:
柯南又有新的案件需要侦破啦!字数 620 阅读时间 18分钟DO you watch cartoon movies to relax after a long day's schoolwork? If so, Detective Conan is surely one of the movies to see. Now the 11th movieJolly Roger in the Deep ……
criminal cases (侦破很多案件).深圳市南山区第二外国语学校 五(1)班 姚婉彤My favorite program is CCTV-10’s Champions 360 (《状元360 ……
新年跟随神探夏洛克一起侦破悬案。THERE are some fictional characters who are much bigger than the works they appear in and too important to belong to any one author or any one group of readers. Sherlock Holmes ……
《疯狂动物城》(Zootopia)是迪士尼电影公司出品的3D动画片,影片讲述了在一个所有动物和平共处的动物城市,兔子朱迪(Judy Hopps)通过自己努力奋斗完成自己儿时的梦想,成为动物警察的故事。电影中,为了证明自己,朱迪决心侦破一桩神秘案件。在追寻真相的路上,朱迪迫使在动物城里以坑蒙拐骗为生的狐狸尼克帮助自己,却发现这桩案件背后隐藏着一个意欲颠覆动物城的巨大阴谋,他们不得不联手合作,去揭 ……
《疯狂动物城》(Zootopia)讲述了兔子Judy通过不懈的努力实现儿时的梦想,成为第一个兔子警官的故事。为了证明自己,她决心侦破一桩神秘案件。在追寻真相的路上,Judy与狐狸Nick合作,最终揭开了隐藏在阴谋背后的真相。精彩回放场景一以下为Judy请求黑帮老大Mr Big帮忙查案时,发现自己曾经救过其女儿Lulu的对话。Lulu: She’s the bunny (兔子 ……
• Materials data from another source follow:
/*
(1)
Computed, not measured: a relaxed Na8La2Zn2Si3S3O24 crystal at the PBE level of DFT.

a b c (Å): 9.5845 9.5992 23.1150
angles (deg): 88.87 88.22 60.44
Closest atoms and distances in Å follow each position.
Space group P1 (No. 1)
One atom of each set of equivalent atoms:
Na: 0.0000 0.0000 0.0000  4 O 2.46-2.56
Na: 0.0017 0.3022 0.8535  5 O 2.58-2.75
Na: 0.0077 0.9401 0.3632  1 O 2.30
Na: 0.0330 0.6374 0.7605  4 O 2.44-2.69
Na: 0.0498 0.5815 0.2697  2 O 2.25-2.49
Na: 0.0778 0.8961 0.6812  4 O 2.51-2.75
Na: 0.0928 0.2603 0.1785  5 O 2.46-2.67
Na: 0.3247 0.3319 0.3452  2 O 2.32-2.55
Na: 0.3338 0.5975 0.8302  4 O 2.41-2.63
Na: 0.3359 0.6318 0.1815  6 O 2.58-2.83
Na: 0.3535 0.2659 0.6776  3 O 2.48-2.77
Na: 0.3656 0.9697 0.0932  4 O 2.43-2.69
Na: 0.3782 0.9220 0.6028  2 O 2.29-2.46
Na: 0.4093 0.2329 0.0193  4 O 2.47-2.64
Na: 0.4147 0.6000 0.5313  4 O 2.36-2.56
Na: 0.6687 0.6655 0.6677  4 O 2.40-2.58
Na: 0.6743 0.9274 0.1644  4 O 2.38-2.66
Na: 0.6823 0.9730 0.5284  2 O 2.35-2.44
Na: 0.6873 0.5978 0.0086  3 O 2.47-2.76
Na: 0.7159 0.2782 0.4448  3 O 2.24-2.45
Na: 0.7271 0.2488 0.9337  3 O 2.34-2.58
Na: 0.7632 0.9239 0.8440  4 O 2.39-2.65
Na: 0.7711 0.5615 0.3608  4 O 2.27-2.51
Na: 0.9918 0.2447 0.5111  3 O 2.41-2.50
La: 0.0198 0.6221 0.6095  4 O 2.19-2.39
La: 0.0272 0.6033 0.1032  5 O 2.20-2.46
La: 0.3534 0.9429 0.4431  6 O 2.21-2.47
La: 0.3538 0.9515 0.9408  6 O 2.24-2.46
La: 0.6982 0.2673 0.7704  5 O 2.20-2.46
La: 0.6998 0.2766 0.2733  6 O 2.27-2.44
Zn: 0.0016 0.6284 0.9195  2 O 1.94-2.07
Zn: 0.0051 0.6226 0.4372  2 O 1.90-1.93
Zn: 0.3604 0.0140 0.2505  3 O 1.88-2.06
Zn: 0.3617 0.9102 0.7384  3 O 2.01-2.09
Zn: 0.6803 0.2783 0.5846  3 O 2.00-2.22
Zn: 0.6977 0.2492 0.0710  3 O 2.00-2.10
Si: 0.0138 0.3117 0.0112  4 O 1.65-1.67
Si: 0.0169 0.9184 0.5075  4 O 1.63-1.68
Si: 0.0566 0.2573 0.3420  4 O 1.63-1.67
Si: 0.0642 0.9316 0.8446  4 O 1.65-1.67
Si: 0.3956 0.5775 0.6782  4 O 1.64-1.66
Si: 0.4013 0.2736 0.1761  4 O 1.64-1.68
Si: 0.6763 0.9761 0.6793  4 O 1.65-1.67
Si: 0.7231 0.9184 0.0120  4 O 1.64-1.66
Si: 0.7237 0.5977 0.5119  4 O 1.63-1.67
S: 0.0102 0.9709 0.1753  4 O 1.47-1.51
S: 0.0110 0.2631 0.6757  4 O 1.48-1.49
S: 0.3340 0.3154 0.5067  4 O 1.48-1.50
S: 0.3435 0.5978 0.0097  4 O 1.47-1.50
S: 0.3514 0.2603 0.8432  4 O 1.48-1.50
S: 0.3557 0.6454 0.3383  4 O 1.48-1.50
S: 0.6714 0.9309 0.3386  4 O 1.46-1.50
S: 0.6736 0.6399 0.8435  4 O 1.48-1.50
S: 0.6813 0.5944 0.1762  4 O 1.47-1.51
O: 0.0111 0.8174 0.4501  1 Si 1.68
O: 0.0287 0.8058 0.1730  1 S 1.51
O: 0.0430 0.4002 0.6706  1 S 1.49
O: 0.0492 0.3788 0.0709  1 Si 1.65
O: 0.0492 0.7652 0.8481  1 Si 1.67
O: 0.0497 0.4307 0.3452  1 Si 1.64
O: 0.0559 0.8056 0.5648  1 Si 1.63
O: 0.1366 0.9580 0.9046  1 Si 1.65
O: 0.1391 0.1420 0.3979  1 Si 1.63
O: 0.1606 0.1682 0.2819  1 Si 1.67
O: 0.1669 0.9566 0.5052  1 Si 1.65
O: 0.1677 0.1119 0.6784  1 S 1.49
O: 0.1686 0.1276 0.0063  1 Si 1.66
O: 0.1725 0.9551 0.1774  1 S 1.49
O: 0.1850 0.9122 0.7885  1 Si 1.66
O: 0.2001 0.4176 0.8465  1 S 1.49
*/
• End of the materials data:
) are invited (邀请) by a Japanese detective to solve a murder mystery (侦破一起谋杀案). While they work... mystery (侦破一起谋杀案). While they work, another detective known as Q shows up. Q is a mysterious (神秘 ……
to be a pop star.他喜欢在宿舍神气十足地走来走去,扭腰摆臀,假装自己是个大明星。cold case线索中断的,未能侦破的悬案There was not sign of a forced ……